Six-figure salaried St. Paul mayor thanks Joe Biden for forgiving his student loans

• Calculated crystals, kept here for reference:
~~~
For FeNiP2O8, DFT lattice parameters and positions (PBE+U) gives the computed X-ray powder pattern in this record (Cu Kα).

Structure:
```
data_FeNiP2O8
_chemical_formula_sum 'Fe3 Ni3 P6 O24'
_space_group_name_H-M_alt 'P 1'
_space_group_IT_number 1
_cell_length_a 8.435
_cell_length_b 8.435
_cell_length_c 8.435
_cell_angle_alpha 61.08
_cell_angle_beta 61.08
_cell_angle_gamma 61.08
loop_
_space_group_symop_operation_xyz
'x,y,z'
loop_
_atom_site_label
_atom_site_fract_x
_atom_site_fract_y
_atom_site_fract_z
Fe1 0.000 0.000 0.000
Fe2 0.144 0.144 0.144
Fe3 0.643 0.643 0.643
Ni1 0.282 0.282 0.282
Ni2 0.501 0.501 0.501
Ni3 0.784 0.784 0.784
P1 0.087 0.688 0.395
P2 0.195 0.600 0.887
P3 0.395 0.087 0.688
P4 0.600 0.887 0.195
P5 0.688 0.395 0.087
P6 0.887 0.195 0.600
O1 0.047 0.173 0.406
O2 0.058 0.685 0.772
O3 0.107 0.884 0.234
O4 0.137 0.535 0.318
O5 0.148 0.752 0.967
O6 0.173 0.406 0.047
O7 0.227 0.604 0.507
O8 0.234 0.107 0.884
O9 0.318 0.137 0.535
O10 0.406 0.047 0.173
O11 0.407 0.558 0.754
O12 0.507 0.227 0.604
O13 0.528 0.875 0.732
O14 0.535 0.318 0.137
O15 0.558 0.754 0.407
O16 0.604 0.507 0.227
O17 0.685 0.772 0.058
O18 0.732 0.528 0.875
O19 0.752 0.967 0.148
O20 0.754 0.407 0.558
O21 0.772 0.058 0.685
O22 0.875 0.732 0.528
O23 0.884 0.234 0.107
O24 0.967 0.148 0.752
```

The 6 most intense peaks (2θ from 10° to 90°), low angle first:
2θ = 20.7°, 4.287 Å, rel. 100; 2θ = 24.5°, 3.631 Å, rel. 100; 2θ = 33.6°, 2.671 Å, rel. 73; 2θ = 36.3°, 2.475 Å, rel. 44; 2θ = 48.1°, 1.892 Å, rel. 42; 2θ = 50.3°, 1.815 Å, rel. 28

* * * * *

Starting from a DFT-relaxed cell (PBE, Alexandria), the powder diffraction line list of Zn8Cu2Au was computed for λ = 1.5418 Å (Cu Kα).
Peak positions follow from Bragg's law for the DFT cell and can differ from measured ones.

Cell lengths 6.7619, 6.7619, 4.6654 Å; angles 99.77, 99.77, 121.47 degrees
Fractional coordinates of all 11 atoms:
Zn 0.0951 0.3247 0.6639
Zn 0.2282 0.7718 0.0000
Zn 0.3247 0.0951 0.6639
Zn 0.4169 0.4169 0.2181
Zn 0.5831 0.5831 0.7819
Zn 0.6753 0.9049 0.3361
Zn 0.7718 0.2282 0.0000
Zn 0.9049 0.6753 0.3361
Cu 0.3010 0.6990 0.5000
Cu 0.6990 0.3010 0.5000
Au 0.0000 0.0000 0.0000

The 6 most intense peaks (5° ≤ 2θ ≤ 70°), by angle:
2θ = 29.77°, intensity 56
2θ = 36.75°, intensity 65
2θ = 39.37°, intensity 59
2θ = 42.07°, intensity 81
2θ = 42.30°, intensity 97
2θ = 43.62°, intensity 100

* * * * *

# Ca2SiO4
Computed X-ray diffraction stick pattern, Cu Kα (weighted mean of Kα1 and Kα2). Input: a cell relaxed with PBE.

Main lines, low angle first (2θ = 10–90°):
2θ 26.94, I = 100
2θ 27.75, I = 30
2θ 29.86, I = 85
2θ 30.83, I = 34
2θ 31.12, I = 31
2θ 31.46, I = 53
2θ 34.25, I = 28
2θ 38.41, I = 37
2θ 45.16, I = 26
2θ 45.80, I = 47

Cell lengths 5.7724, 8.2952, 9.2113 Å; angles 90.00, 118.22, 90.00 degrees
Fractional positions:
Ca 0.0822 0.1581 0.3725
Ca 0.0822 0.3419 0.8725
Ca 0.3533 0.0124 0.1369
Ca 0.3533 0.4876 0.6369
Ca 0.6467 0.5124 0.3631
Ca 0.6467 0.9876 0.8631
Ca 0.9178 0.6581 0.1275
~~~
• Here the text continues:

Despite raking in at least $129,000 per year, Melvin Carter's federal loans were forgiven.

St. Paul
St. Paul Mayor Melvin Carter speaks at a "Safe Summer 2024" press conference May 31. (City of St. Paul/YouTube)

St. Paul Mayor Melvin Carter is off the hook for his federal student loans, and he has credited President Joe Biden for his good fortune.

**Data records, kept here for reference:**
┌──
Entry 1:
Theoretical XRD peak list of Nd7PbSe5 for Cu Kα X-rays, from DFT lattice parameters and positions (GGA-PBE).
Lines closer than 0.1° are merged.

Largest 10 diffraction maxima, by angle, 10 to 90 degrees two-theta:
| 2θ/deg | I_rel |
| --- | --- |
| 28.00 | 74 |
| 29.30 | 100 |
| 30.38 | 67 |
| 31.27 | 19 |
| 39.00 | 32 |
| 42.04 | 36 |
| 42.15 | 20 |
| 42.87 | 29 |
| 43.22 | 24 |
| 51.27 | 28 |

Cell lengths 7.233, 7.233, 25.141 Å; angles 90.00, 90.00, 145.43 degrees
Fractional positions:
Nd: 0.027 0.973 0.750
Nd: 0.137 0.863 0.037
Nd: 0.137 0.863 0.463
Nd: 0.319 0.681 0.676
Nd: 0.319 0.681 0.824
Nd: 0.406 0.594 0.113
Nd: 0.406 0.594 0.387
Nd: 0.594 0.406 0.613
Nd: 0.594 0.406 0.887
Nd: 0.681 0.319 0.176
Nd: 0.681 0.319 0.324
Nd: 0.863 0.137 0.537
Nd: 0.863 0.137 0.963
Nd: 0.973 0.027 0.250
Pb: 0.303 0.697 0.250
Pb: 0.697 0.303 0.750
Se: 0.046 0.954 0.142
Se: 0.046 0.954 0.358
Se: 0.227 0.773 0.571
Se: 0.227 0.773 0.929
Se: 0.500 0.500 0.000
Se: 0.500 0.500 0.500
Se: 0.773 0.227 0.071
Se: 0.773 0.227 0.429
Se: 0.954 0.046 0.642
Se: 0.954 0.046 0.858

Entry 2:
Theoretical XRD peak list of NdPb5Se7 for Cu Kα X-rays, from DFT lattice parameters and positions (GGA-PBE).
Lines closer than 0.1° are merged.

Largest 10 diffraction maxima, by angle, 10 to 90 degrees two-theta:
| 2θ/deg | I_rel |
| --- | --- |
| 24.68 | 81 |
| 27.91 | 36 |
| 28.73 | 100 |
| 29.85 | 87 |
| 31.25 | 33 |
| 39.31 | 46 |
| 40.11 | 35 |
| 41.62 | 39 |
| 42.37 | 43 |
| 42.50 | 37 |

Cell lengths 7.610, 7.610, 24.891 Å; angles 90.00, 90.00, 147.44 degrees
Fractional positions:
Nd: 0.203 0.797 0.500
Nd: 0.797 0.203 0.000
Pb: 0.013 0.987 0.739
Pb: 0.259 0.741 0.163
Pb: 0.288 0.712 0.816
Pb: 0.444 0.556 0.390
Pb: 0.473 0.527 0.587
Pb: 0.527 0.473 0.087
Pb: 0.556 0.444 0.890
Pb: 0.712 0.288 0.316
Pb: 0.741 0.259 0.663
Pb: 0.987 0.013 0.239
Se: 0.072 0.928 0.346
Se: 0.115 0.885 0.615
Se: 0.177 0.823 0.055
Se: 0.205 0.795 0.926
Se: 0.349 0.651 0.277
Se: 0.376 0.624 0.702
Se: 0.434 0.566 0.985
Se: 0.566 0.434 0.485
Se: 0.624 0.376 0.202
Se: 0.651 0.349 0.777
Se: 0.795 0.205 0.426
Se: 0.823 0.177 0.555
Se: 0.885 0.115 0.115
Se: 0.928 0.072 0.846

Entry 3:
Theoretical XRD peak list of Nd6PbSe4 for Cu Kα X-rays, from DFT lattice parameters and positions (GGA-PBE).
Lines closer than 0.1° are merged.

Largest 10 diffraction maxima, by angle, 10 to 90 degrees two-theta:
| 2θ/deg | I_rel |
| --- | --- |
| 27.26 | 22 |
| 28.11 | 68 |
| 28.61 | 35 |
| 29.52 | 100 |
| 30.99 | 35 |
| 40.09 | 31 |
| 41.75 | 33 |
| 42.31 | 25 |
| 42.74 | 20 |
| 51.09 | 33 |

Cell lengths 7.239, 7.239, 21.448 Å; angles 90.00, 90.00, 145.22 degrees
Fractional positions:
Nd: 0.000 0.000 0.000
Nd: 0.000 0.000 0.500
Nd: 0.167 0.833 0.750
Nd: 0.271 0.729 0.085
Nd: 0.271 0.729 0.415
Nd: 0.457 0.543 0.663
Nd: 0.457 0.543 0.837
Nd: 0.543 0.457 0.163
Nd: 0.543 0.457 0.337
Nd: 0.729 0.271 0.585
Nd: 0.729 0.271 0.915
Nd: 0.833 0.167 0.250
Pb: 0.162 0.838 0.250
Pb: 0.838 0.162 0.750
Se: 0.093 0.907 0.624
└──
**Back to the page:**

In a May 29 tweet, Carter posted a screenshot of his account on federal student loan servicer MOHELA with zero-dollar figures in his “payments due” category with the attached caption, “Thank you, Mr. President!” Carter’s post included a quote-tweet of Biden which bragged, “the Supreme Court tried to block me from relieving student debt. But they didn’t stop me. I’ve relieved student debt for over 5 million Americans. I’m going to keep going.”

Strikingly, Carter’s federal student loans were forgiven even in light of his fairly substantial salary. As highlighted by the Pioneer Press, Carter was making $129,000 per year as of 2019, although his current salary may, in fact, be higher, according to the Star Tribune. Nonetheless, Carter’s high salary did not disqualify him from Biden’s attempts at federal student loan forgiveness.

What comes next are records of crystals, not part of the entry.
<<<
Computed powder diffraction line list
Compound: AcLa2Tl3S6
Radiation: Cu Kα, 1.54184 Å
Structure: a crystal structure in Alexandria, relaxed with PBE

Main lines, by intensity (2θ = 10–90°):
two_theta	intensity
28.66	100
25.02	66
40.29	37
41.66	37
23.95	27
48.62	25
51.35	20
68.18	17
66.24	16
47.41	15

Crystal structure
```
data_AcLa2Tl3S6
_chemical_formula_sum 'Ac2 La4 Tl6 S12'
_cell_length_a 7.512
_cell_length_b 13.004
_cell_length_c 7.844
_cell_angle_alpha 90.00
_cell_angle_beta 108.61
_cell_angle_gamma 90.00
_space_group_name_H-M_alt 'C 1 2/m 1'
_space_group_IT_number 12
loop_
_space_group_symop_operation_xyz
'x,y,z'
'-x,-y,-z'
'-x,y,-z'
'x,-y,z'
'x+1/2,y+1/2,z'
'-x+1/2,-y+1/2,-z'
'-x+1/2,y+1/2,-z'
'x+1/2,-y+1/2,z'
loop_
_atom_site_label
_atom_site_type_symbol
_atom_site_fract_x
_atom_site_fract_y
_atom_site_fract_z
Ac1 Ac 0.000 0.000 0.000
La1 La 0.000 0.333 0.000
Tl1 Tl 0.000 0.167 0.500
Tl2 Tl 0.000 0.500 0.500
S1 S 0.227 0.500 0.205
S2 S 0.240 0.171 0.207
```

* * * * *

# Zr4Rh2N
Calculated powder X-ray diffraction pattern, Cu Kα. Input: a structure optimized by DFT (PBE).
Kinematic intensities with the Lorentz-polarization factor, no thermal factor.

Cell lengths 12.4749, 12.4749, 12.4749 Å; angles 90.00, 90.00, 90.00 degrees
Space group Fd-3m (No. 227, origin choice 2)
Unique sites:
Zr: 0.0000 0.0000 0.0000 [16 per cell]
Zr: 0.0576 0.3750 0.8750 [48 per cell]
Rh: 0.0339 0.0339 0.2161 [32 per cell]
N: 0.0000 0.0000 0.5000 [16 per cell]

Main lines, in order of rising 2θ (2θ = 10–90°):
hkl  2θ (°)  d_spacing  Rel. int.
4 2 2  35.2  2.546  30.3
3 3 3  37.5  2.401  100.0
4 4 0  40.9  2.205  28.3
6 6 0  63.3  1.470  30.5
5 5 5  64.7  1.440  8.9
9 3 3  75.9  1.254  17.5


# RuN
Calculated powder X-ray diffraction pattern, Cu Kα. Input: a structure optimized by DFT (PBE).
Kinematic intensities with the Lorentz-polarization factor, no thermal factor.

```
data_RuN
_chemical_formula_sum 'Ru4 N4'
_symmetry_space_group_name_H-M 'F m -3 m'
_symmetry_Int_Tables_number 225
_symmetry_space_group_name_Hall '-F 4 2 3'
_cell_length_a 4.3349
_cell_length_b 4.3349
_cell_length_c 4.3349
_cell_angle_alpha 90.00
_cell_angle_beta 90.00
_cell_angle_gamma 90.00
loop_
_atom_site_label
_atom_site_fract_x
_atom_site_fract_y
_atom_site_fract_z
_atom_site_occupancy
Ru1 0.0000 0.0000 0.0000 1
N1 0.0000 0.0000 0.5000 1
```

Main lines, in order of rising 2θ (2θ = 10–90°):
hkl  2θ (°)  d_spacing  Rel. int.
1 1 1  35.9  2.503  100.0
2 0 0  41.7  2.167  81.8
2 2 0  60.4  1.533  51.4
3 1 1  72.3  1.307  40.2
2 2 2  76.1  1.251  16.8


# RuN
Calculated powder X-ray diffraction pattern, Cu Kα. Input: a structure optimized by DFT (PBE).
Kinematic intensities with the Lorentz-polarization factor, no thermal factor.

```
data_RuN
_chemical_formula_sum 'Ru4 N4'
_symmetry_space_group_name_H-M 'F -4 3 m'
_symmetry_Int_Tables_number 216
_symmetry_space_group_name_Hall 'F -4 2 3'
_cell_length_a 4.5643
_cell_length_b 4.5643
_cell_length_c 4.5643
_cell_angle_alpha 90.00
>>>

The Biden administration’s attempts at federal student loan forgiveness have been the subject of intense legal controversy. In June 2023, the United States Supreme Court ruled 6-3 that the Biden administration could not proceed with a plan that would have “canceled roughly $430 billion of federal student loan balances, completely erasing the debts of 20 million borrowers and lowering the median amount owed by the other 23 million from $29,400 to $13,600.”

Writing for the majority, Chief Justice John Roberts found that the Secretary of Education did not have the power under the Higher Education Relief Opportunities for Students Act (HEROES) to forgive or reduce loans outside of circumstances specified under Title IV of the 1965 Higher Education Act, “let alone ‘clear congressional authorization’ for such a program.”

Of course, this has not stopped Biden from attempting to find other avenues for federal student loan forgiveness. On May 17, the Sixth Circuit Court upheld the Biden administration’s IDR Account Adjustment initiative which, according to Forbes, “credits borrowers with time toward student loan forgiveness under IDR plans and PSLF for past periods that may not have otherwise counted. This includes time spent in non-qualifying repayment plans or in certain deferment and forbearance periods, as well as qualifying periods prior to consolidation. Borrowers can qualify for student loan forgiveness after 20 or 25 years in repayment under IDR plans,” allowing $51 billion in previous relief payouts to stand.

With Biden’s refusal to back away from loan forgiveness even in the face of the Supreme Court, the possibility has been raised that Mayor Carter may not be the only mayor having student loans forgiven.


Evan Poellinger

Evan Poellinger, the Alpha News Summer 2024 Journalism Fellow, is a native Minnesotan with a lifelong passion for history and politics. He previously worked as a journalism intern with the American Spectator and an investigative journalism fellow with the Media Research Center. He is a graduate of College of the Holy Cross with degrees in political science and history.